The grant program Talents for Ukraine by KSE Foundation continues to support Ukraine’s brightest talents! Today, we introduce you to three winners who are actively contributing to the development of science and culture in Ukraine.
⭐️Ivan Kyrchei holds a Doctor of Physical and Mathematical Sciences degree. He is the author of over 100 scientific works in the field of algebra, including 4 edited books and 13 chapters in collections. He has been awarded a Hirsch index of 22 in the Scopus database, which is the highest in Ukraine in the «Algebra» category. Currently, our awardee is working on research within the framework of a joint Ukrainian-Israeli scientific project, «Applications of Quaternions in Laplacian Gaussian Graph Models and Graph Neural Networks». Ivan is also ranked among the top 2 % of the most cited scientists in the world according to Elsevier.
(Crystal structures, kept here for reference)
/*
Record 1
Density functional theory data (PBE-GGA) for a relaxed Ta2HO crystal. Values from VASP.

Geometry as Quantum ESPRESSO input:
```
&SYSTEM
  ibrav = 0, nat = 4, ntyp = 3
/
ATOMIC_SPECIES
H 1.01 H.upf
O 16.00 O.upf
Ta 180.95 Ta.upf
ATOMIC_POSITIONS crystal
H 0.000 0.000 0.000
O 0.500 0.500 0.500
Ta 0.250 0.250 0.250
Ta 0.750 0.750 0.750
CELL_PARAMETERS angstrom
0.000 2.839 2.839
2.839 0.000 2.839
2.839 2.839 0.000
```

Results
- polymorph energy (0 for the lowest one) (meV/atom) = 1005
- DOS at the Fermi energy (states/eV per cell) = 5.05



Record 2
Density functional theory data (PBE-GGA) for a relaxed Ta2H4O7 crystal. Values from VASP.

Geometry as Quantum ESPRESSO input:
```
&SYSTEM
  ibrav = 0, nat = 26, ntyp = 3
/
ATOMIC_SPECIES
Ta 180.95 Ta.upf
H 1.01 H.upf
O 16.00 O.upf
ATOMIC_POSITIONS crystal
Ta 0.625 0.125 0.625
Ta 0.625 0.625 0.125
Ta 0.125 0.625 0.625
Ta 0.625 0.625 0.625
H 0.058 0.825 0.058
H 0.825 0.058 0.058
H 0.058 0.058 0.058
H 0.058 0.058 0.825
H 0.192 0.192 0.192
H 0.192 0.192 0.425
H 0.425 0.192 0.192
H 0.192 0.425 0.192
O 0.697 0.303 0.303
O 0.303 0.697 0.697
O 0.303 0.303 0.697
O 0.697 0.697 0.303
O 0.303 0.697 0.303
O 0.697 0.303 0.697
O 0.553 0.947 0.947
O 0.947 0.553 0.553
O 0.947 0.947 0.553
O 0.553 0.553 0.947
O 0.947 0.553 0.947
O 0.553 0.947 0.553
O 0.000 0.000 0.000
O 0.250 0.250 0.250
CELL_PARAMETERS angstrom
-7.161 -1.515 0.740
-3.163 0.327 6.634
-4.761 5.392 1.544
```

Results
- polymorph energy (0 for the lowest one) (meV/atom) = 494
- DOS at the Fermi energy (states/eV per cell) = 4.27



Record 3
Density functional theory data (PBE-GGA) for a relaxed Ta2HO crystal. Values from VASP.

Geometry as Quantum ESPRESSO input:
```
&SYSTEM
  ibrav = 0, nat = 8, ntyp = 3
/
ATOMIC_SPECIES
H 1.01 H.upf
O 16.00 O.upf
Ta 180.95 Ta.upf
ATOMIC_POSITIONS crystal
H 0.500 0.500 0.000
H 0.250 0.750 0.500
O 0.000 0.000 0.000
O 0.750 0.250 0.500
Ta 0.600 0.125 0.250
Ta 0.150 0.625 0.250
Ta 0.375 0.400 0.750
Ta 0.875 0.850 0.750
CELL_PARAMETERS angstrom
-3.181 2.258 2.417
2.377 -0.771 3.849
1.908 4.681 2.495
```

Results
- polymorph energy (0 for the lowest one) (meV/atom) = 0
- DOS at the Fermi energy (states/eV per cell) = 1.01



Record 4
Density functional theory data (PBE-GGA) for a relaxed TaHO crystal. Values from VASP.

Geometry as Quantum ESPRESSO input:
```
&SYSTEM
  ibrav = 0, nat = 6, ntyp = 3
/
ATOMIC_SPECIES
H 1.01 H.upf
O 16.00 O.upf
Ta 180.95 Ta.upf
ATOMIC_POSITIONS crystal
H 0.859 0.783 0.608
H 0.141 0.217 0.392
O 0.616 0.265 0.867
O 0.384 0.735 0.133
Ta 0.363 0.775 0.613
Ta 0.637 0.225 0.387
CELL_PARAMETERS angstrom
-1.097 0.784 -3.856
3.540 -1.469 -3.493
-0.112 -3.945 -0.769
```

Results
- energy (eV/f.u.) = -23.59
- DOS at the Fermi energy (states/eV per cell) = 1.51



Record 5
Density functional theory data (PBE-GGA) for a relaxed Ta2HO5 crystal. Values from VASP.

Geometry as Quantum ESPRESSO input:
```
&SYSTEM
  ibrav = 0, nat = 16, ntyp = 3
/
ATOMIC_SPECIES
Ta 180.95 Ta.upf
H 1.01 H.upf
O 16.00 O.upf
*/
«The best thing about being a mathematician-researcher is the opportunity to build rigorously proven logical mathematical structures and be 100 % confident in their timeless solidity», comments Ivan.
⭐️Bohdan Ostash is a specialist in bacterial genetics who has devoted his life to developing tools for the discovery and enhancement of natural antibiotic production by bacteria. Our winner actively collaborates with Ukrainian pharmaceutical companies, particularly with «Farmak,” to turn his scientific discoveries into concrete solutions and strengthen the links between scientific research and practical application. He is interested in studying programming languages as a tool for biological research and constantly expands his knowledge to make a greater contribution to the field of science.
«Calm daily perseverance is your fourth and most important assistant, without which the other three — your intellect, physical strength, and friends — would be helpless», says Bohdan.
⭐️Ivan Zotsenko is an archaeologist renowned for his work in preserving archaeological heritage. He creates 3D models and hosts public events to popularize archaeological sites. Our winner has joined the “First National Rapid Response Team in the Cultural Sector of Ukraine”, established by the Ministry of Culture of Ukraine and the international organization ICCROM for the preservation and restoration of cultural treasures. Under his leadership, the Archaeological Monitoring Expedition has surveyed over 300 archaeological sites in the Kyiv region.In addition, Ivan has initiated projects to popularize archaeology through the creation of mini-films and scientific rescue missions.
«It’s essential to clearly define your goals to avoid wasting time on unnecessary things», comments Ivan.
More about the Talents For Ukraine winners